I know a young family with a newborn that I can not convince to not to take the scheduled vaccines. but I might be able to convince them to avoid one or two. They also want to know if taking that 14 in one vax is better or worse than taking all of those same vaccines but at separate times. (Their doctor will only administer the many at one type but they are open to talking with other doctors) Does anyone have any advice or have something brief that is rich with verified data that I can show them? (They don't have time for long videos and are wary of data they can't look up themselves)
Besides that, does anyone have advice for what to do to or give to the infant before and / or after the vaccine to minimize the chance of negative effects? This is important to me, frens. Thank you all so much.
(Attached: records of crystals)
********
The following is a theoretical XRD peak list of La4Ti5S12O2. It was derived from DFT lattice parameters and positions (GGA-PBE), using Cu Kα, 1.54184 Å.
Neutral-atom scattering factors, no anomalous dispersion.

Structural model:
Unit cell a=10.363 b=8.476 c=10.366 alpha=90.00 beta=90.06 gamma=90.00
Fractional positions:
La1 0.000 0.234 0.000
La2 0.000 0.766 0.000
La3 0.416 0.237 0.003
La4 0.416 0.763 0.003
La5 0.418 0.240 0.576
La6 0.418 0.760 0.576
La7 0.997 0.237 0.584
La8 0.997 0.763 0.584
Ti1 0.071 0.500 0.293
Ti2 0.193 0.500 0.804
Ti3 0.212 0.000 0.292
Ti4 0.501 0.000 0.290
Ti5 0.685 0.500 0.893
Ti6 0.706 0.500 0.295
Ti7 0.707 0.000 0.790
Ti8 0.708 0.000 0.089
Ti9 0.708 0.000 0.498
Ti10 0.911 0.000 0.291
S1 0.057 0.216 0.291
S2 0.057 0.784 0.291
S3 0.199 0.500 0.529
S4 0.206 0.500 0.051
S5 0.208 0.000 0.053
S6 0.209 0.000 0.528
S7 0.210 0.228 0.789
S8 0.210 0.772 0.789
S9 0.367 0.222 0.289
S10 0.367 0.778 0.289
S11 0.469 0.500 0.792
S12 0.471 0.000 0.790
S13 0.548 0.500 0.445
S14 0.572 0.500 0.101
S15 0.708 0.223 0.632
S16 0.708 0.777 0.632
S17 0.710 0.220 0.945
S18 0.710 0.780 0.945
S19 0.711 0.183 0.288
S20 0.711 0.817 0.288
S21 0.887 0.500 0.441
S22 0.888 0.500 0.137
S23 0.943 0.500 0.798
S24 0.946 0.000 0.791
O1 0.518 0.000 0.100
O2 0.519 0.000 0.480
O3 0.898 0.000 0.481
O4 0.899 0.000 0.100

Most intense lines, 15 to 90 degrees two-theta, sorted by position:
hkl	2θ (°)	I_rel
2 0 0	17.1	59
2 0 2	24.3	39
3 0 0	25.8	38
0 2 2	27.2	98
2 2 -2	32.3	77
3 2 0	33.5	100
0 0 4	34.6	52
3 2 2	37.8	44
0 4 0	42.7	58
2 2 4	44.6	32
0 2 5	48.9	48
7 0 -2	65.5	30


The following is a theoretical XRD peak list of CoN. It was derived from DFT lattice parameters and positions (GGA-PBE), using Cu Kα, 1.54184 Å.
Neutral-atom scattering factors, no anomalous dispersion.

Structural model:
Unit cell a=4.766 b=4.767 c=4.760 alpha=90.00 beta=90.00 gamma=90.00
Fractional positions:
Co1 0.250 0.012 0.000
Co2 0.250 0.512 0.500
Co3 0.750 0.488 0.500
Co4 0.750 0.988 0.000
N1 0.250 0.254 0.253
N2 0.250 0.754 0.753
N3 0.750 0.246 0.753
N4 0.750 0.746 0.253

Most intense lines, 15 to 90 degrees two-theta, sorted by position:
hkl	2θ (°)	I_rel
0 1 1	26.5	100
1 1 1	32.6	6
2 0 0	37.8	51
2 1 1	46.7	40
0 2 2	54.5	33
0 1 3	61.6	16
1 3 1	64.9	2
2 2 2	68.2	16
2 1 3	74.5	17
4 0 0	80.6	5
0 0 4	80.8	2
4 1 1	86.7	9


Number 2 is which compound? CoN


Which formula does entry 1 have? La4Ti5S12O2

~~~~~

This entry pairs a crystal structure of CaAs2Ru2 with its calculated powder diffraction line list. Radiation: Cu Ka. Structure: a structure optimized by DFT (PBE).
Intensities are scaled so that the largest is 100.

Top 8 peaks for 5 to 70 degrees two-theta, sorted by position:
| 2theta | Rel. int. |
| --- | --- |
| 17.03 | 87 |
| 33.42 | 56 |
| 34.65 | 100 |
| 42.86 | 82 |
| 46.28 | 81 |
| 46.43 | 26 |
| 61.84 | 28 |
| 62.22 | 26 |

Atomic structure:
Unit cell a=4.2204 b=4.2204 c=10.4137 alpha=90.00 beta=90.00 gamma=90.00
Space group I4/mmm (No. 139)
Asymmetric unit:
********
(The text goes on)
Refuse on religious grounds. My wife is 66, never vaccinated, takes no medicine and other than sinus problems she is healthy. The Amish are one of the most healthy peoples on the planet. IMO
ONE MORE THING and it is IMPORTANT! Have your wife breast feed your newborn. The antibodies in her will transfer to the baby.
A person will be healthier throughout their lifetime and live longer if they remain unvaccinated (NO VACCINES whatsoever).
Do a search on Rumble for "Dr. Brian Hooker" -- his book is Vax-Unvax: Let the Science Speak. It has over a hundred studies showing that across the spectrum of health problems, unvaccinated children have better health outcomes.
Lots of good videos (many short) with him discussing this including on childrenshealthdefense channel (RFK Jr's organization is Children's Health Defense ( childrenshealthdefense.org ).
Lots of stuff here too including details of cases of vaccine injured infants: https://substack.com/@makismd
If you're on Telegram, do a search on "vax" or "vaccine" and you'll find scads of stuff. I sent lots of stuff to my middle (step)daughter before she had her first baby. She has four now. The first had some of his vaccines. The second had just a couple of the vaccines. But she has steadfastly held the line against any vaccines since then--even against her mother and mother-in-law--so her youngest two have no vaccines and the oldest two no additional vaccines. When I searched the thread with her on Telegram using "vaccine" there were 171 items. I tell you this to let you know that it's never one and done. You keep at it without being strident or mean or bullying. I think her mother and mother-in-law both being so stridently PRO-vax even to the point of insulting her is what made her dig harder into any info I sent her. And she has since red-pilled other of her friends and sisters-in-law on the danger of vaccines. Good luck to you on this. Don't give up. They'll thank you someday.
The combo's are even more dangerous than the singles and those are also bad. I tried for years, since 2008 to help open the eyes of parents to vaccines. I just can't anymore. I'm frustrated and tired with this war. By now people should know, there's no excuse. Pray they don't kill their child, it happens so much these days.
You can tell them to postpone as much as possible. They really don’t need any of them but especially don’t until they go to school.
If all were to stay the same with required vax schedules, postpone bc as you age your immune system gets stronger. And if you need to take them break them up. MMR is the one most likely linked to autism. So break it up.
And secondly have them postpone any vaccines bc once JFK jr is in office all will be revealed and they will probably no longer have to give their baby any or as much.
i don't think the m m and r are available separately now .
It's called INFORMED CONSENT,tell them to read it on each VAX,to which covid vax has none it's blank ,DONT DO IT.
Tell them to, at the very least, wait until the kid gets older. The MMR vaccine is shown to be far less harmful starting at, I think, six years of age and gradually less harmful from there. Or you can be like me, and watch in horror as your neighbors, whom you have been trying your damndest to help understand, roll up with their seven year old bragging about getting their covid/flu shots. After nearly losing their dad/husband to liver failure at 30 something years old shortly after the first shots.
Inserted here: data records:
********
For AlH3O3, the PBE geometry in the Materials Project gives the theoretical powder X-ray diffraction pattern in this record (a wavelength of 1.5418 Å).

Structural model:
```
AlH3O3
1.0
5.1562 0.0000 0.0000
-0.0718 8.8577 0.0000
-0.1936 -0.2261 9.5454
Al H O
8 24 24
Cartesian
0.0000 0.0000 0.0000 Al
-0.1245 4.2690 4.9663 Al
2.1316 8.6881 4.7670 Al
2.3567 4.3750 0.1867 Al
2.4944 7.3556 0.0314 Al
2.4589 2.7858 4.9538 Al
4.6970 7.2174 4.7830 Al
4.9417 2.9337 0.1684 Al
0.4752 4.2904 7.8100 H
0.5454 -0.0761 6.6946 H
0.5195 6.8522 7.7428 H
0.6318 2.4940 6.7476 H
1.0147 5.7599 1.6547 H
1.0862 1.5749 3.1437 H
1.2784 3.4311 2.1496 H
1.3458 6.0501 5.8592 H
1.4239 7.0906 2.9511 H
1.3699 1.4633 8.7078 H
1.7563 0.1868 1.8485 H
2.0639 4.9517 3.8588 H
3.0637 2.6016 7.8022 H
3.0611 7.1788 6.7386 H
3.1208 0.0485 7.7805 H
3.1635 4.5331 6.7361 H
3.6455 1.3205 1.5920 H
3.7859 3.7031 2.1346 H
3.7670 8.2323 2.7853 H
3.9728 0.9914 5.8827 H
3.9021 5.4263 8.6599 H
4.0564 5.5268 2.9119 H
4.5327 2.0547 3.8786 H
4.6067 6.6826 1.0573 H
0.3791 5.8679 5.9328 O
0.3980 1.3500 8.5696 O
0.4586 8.6605 5.7280 O
0.4823 4.1445 8.7739 O
0.7662 7.3686 8.5346 O
0.9222 3.0614 6.0083 O
1.1074 7.5169 3.7620 O
1.3647 3.1677 1.2134 O
1.5249 4.1393 3.9339 O
1.5583 8.6892 0.9583 O
1.7821 1.4305 3.7946 O
1.8657 5.9262 1.2191 O
3.0091 1.1719 5.8951 O
2.9254 5.5412 8.6520 O
3.0434 7.2524 5.7666 O
3.0834 2.7545 8.7642 O
3.3588 8.3209 8.4928 O
3.4927 3.9658 6.0199 O
3.7020 8.4193 3.7458 O
3.9417 4.1436 1.2692 O
4.1173 7.5232 1.0492 O
4.1086 2.9312 3.9386 O
4.2439 5.6176 3.8614 O
4.5124 1.3685 1.1536 O
```

Principal peaks in the range 10 to 80 degrees two-theta, in order of rising 2θ:
| hkl | 2theta | intensity |
| --- | --- | --- |
| 0 0 2 | 18.6 | 100 |
| 0 2 0 | 20.1 | 26 |
| 1 1 -1 | 21.9 | 34 |
| 1 -1 1 | 22.0 | 16 |
| 1 1 1 | 22.3 | 15 |
| 1 3 -2 | 39.5 | 14 |
| 1 -3 2 | 39.6 | 15 |
| -1 3 2 | 40.0 | 19 |
| 1 3 2 | 40.6 | 13 |
| 1 3 -3 | 44.8 | 17 |
| -1 3 3 | 45.6 | 11 |
| 0 6 0 | 63.0 | 13 |
********
Maybe share this short video with them. https://x.com/toobaffled/status/1865360680918135014?ref_src=twsrc%5Etfw%7Ctwcamp%5Etweetembed%7Ctwterm%5E1865360680918135014%7Ctwgr%5E1017f125dfb43e1b87a65ff55fa79eeb612c4272%7Ctwcon%5Es1_c10&ref_url=https%3A%2F%2Fgreatawakening.win%2Fp%2F19A0jzeXuo%2Fdoctor-explains-that-the-blood-b%2Fc%2F
You might be able to talk them into spreading them out so long that Trumps admin has a chance to change standards…
Also there’s good evidence that people with the MTHFR gene mutation (which is thought to be somewhat common) respond differently to vaccines. So they might take that special situation as a more serious reason to not take the risk, as then it’s no longer as easy to say “well everyone else does it”.
Some people have a “mthr fckr” gene mutation? Yeah, that’s how I read that this morning. 🤣🤣
IMO, if you can’t avoid them entirely, 1) take them later after the child has grown more, 2) space them out and do it one at a time, and 3) don’t take all of them (especially anything with MRNA).
If you can’t avoid them, discuss with the parents the fragility of the newborn and the potential impact of so many pharmaceuticals so early. If you can convince them to delay it until the child is 12-18 months it would be a win. I also expect that the world will change enough in that time that the parents may change their mind.
# These records of crystals were left in the page by mistake
+++
[1]
# Tb2Y7Tm
Theoretical XRD peak list, Cu Kα (weighted mean of Kα1 and Kα2). Input: a DFT-relaxed cell (GGA-PBE, Alexandria).
Neutral-atom scattering factors, no anomalous dispersion.

Structural model:
abc: 6.177 29.720 3.501
angles: 90.00 90.26 90.00
Space group C2/m (No. 12)
One atom of each set of equivalent atoms:
Tb  0.000  0.192  0.000 [4 per cell]
Y  0.000  0.293  0.500 [4 per cell]
Y  0.000  0.500  0.000 [2 per cell]
Y  0.246  0.400  0.267 [8 per cell]
Tm  0.000  0.000  0.500 [2 per cell]

Most intense lines, 2θ = 15–90°, by angle:
2θ = 29.42°, d 3.036, intensity 281, (1 1 -1)
2θ = 30.07°, d 2.972, intensity 976, (0 10 0)
2θ = 30.66°, d 2.916, intensity 538, (1 3 -1)
2θ = 30.77°, d 2.906, intensity 1000, (1 3 1)
2θ = 31.37°, d 2.852, intensity 724, (2 4 0)
2θ = 33.00°, d 2.715, intensity 462, (1 5 -1)
2θ = 34.22°, d 2.621, intensity 693, (2 6 0)
2θ = 36.31°, d 2.474, intensity 919, (1 7 1)
2θ = 49.89°, d 1.828, intensity 358, (1 13 1)
2θ = 52.27°, d 1.750, intensity 365, (3 3 -1)

[2]
# AcIr2O8
Theoretical XRD peak list, Cu Kα (weighted mean of Kα1 and Kα2). Input: a DFT-relaxed cell (GGA-PBE, Alexandria).
Neutral-atom scattering factors, no anomalous dispersion.

Structural model:
abc: 6.5124 6.5124 6.1074
angles: 90.00 90.00 120.00
Space group P-3m1 (No. 164)
One atom of each set of equivalent atoms:
Ac  0.0000  0.0000  0.0000 [1 per cell]
Ir  0.3333  0.6667  0.3297 [2 per cell]
O  0.1846  0.3692  0.2147 [6 per cell]
O  0.3333  0.6667  0.6176 [2 per cell]

Most intense lines, 2θ = 15–90°, by angle:
2θ = 21.45°, d 4.143, intensity 1000, (0 1 1)
2θ = 27.39°, d 3.256, intensity 503, (1 1 0)
2θ = 33.37°, d 2.685, intensity 257, (1 0 2)
2θ = 35.05°, d 2.560, intensity 195, (2 0 1)
2θ = 43.69°, d 2.072, intensity 168, (0 2 2)
2θ = 45.04°, d 2.013, intensity 278, (1 2 1)
2θ = 48.42°, d 1.880, intensity 106, (3 0 0)
2θ = 52.34°, d 1.748, intensity 139, (2 1 2)
2θ = 53.05°, d 1.726, intensity 182, (1 1 3)
2θ = 61.16°, d 1.515, intensity 113, (3 1 1)

[3]
# Tm2Tl3F9
Theoretical XRD peak list, Cu Kα (weighted mean of Kα1 and Kα2). Input: a DFT-relaxed cell (GGA-PBE, Alexandria).
Neutral-atom scattering factors, no anomalous dispersion.

Structural model:
abc: 11.1870 11.1870 14.6740
angles: 90.00 90.00 120.00
Space group R-3c (No. 167, hexagonal axes)
One atom of each set of equivalent atoms:
Tm  0.0000  0.0000  0.1386 [12 per cell]
Tl  0.0000  0.3267  0.2500 [18 per cell]
F  0.0000  0.1369  0.7500 [18 per cell]
F  0.0192  0.1804  0.4163 [36 per cell]

Most intense lines, 2θ = 15–90°, by angle:
2θ = 24.17°, d 3.682, intensity 796, (1 1 3)
2θ = 25.97°, d 3.431, intensity 131, (1 0 4)
2θ = 27.62°, d 3.229, intensity 1000, (3 0 0)
2θ = 37.03°, d 2.428, intensity 526, (2 2 3)
2θ = 40.25°, d 2.241, intensity 177, (1 1 6)
2θ = 46.81°, d 1.941, intensity 272, (4 1 3)
2θ = 48.85°, d 1.864, intensity 216, (3 3 0)
2θ = 49.51°, d 1.841, intensity 155, (2 2 6)
2θ = 57.04°, d 1.615, intensity 192, (6 0 0)
2θ = 57.63°, d 1.599, intensity 140, (4 1 6)
+++
I wish they could come to my classroom with 3 out of ten children autistic. These are 3 and 4 year olds. I have one other child who could probably be on the spectrum. I would not risk it. I would rather my child risk the diseases which to me are less devastating or even death than being non-verbal severely autistic. The odds are no longer 1 out of 10000 or even the new 1 out of 22 boys. My class would be 1 of 4 girls and 1 out of 3 boys. If I include the probably child, the boys go up to 1 out of 2. If nothing else get them to delay ALL vaccinations. Document a healthy speaking child exists. Then if something bad happens the parents know the cause. Get only shots from late 1950's and spread them out if they just can't say NO. If I were pregnant, I would also say no to ultrasounds and doppler heartbeat checks.
One point that I've been able to use successfully to postpone shots is that there is no quality control reported on any of the vaccines since the Reagan indemnity. They can look this up. Even if you still believe the shots work, they're not made safely in the cheapest outsourced places and there are no requirements to inspect or report on quality. Tell them to at least take time to shop the cleanest or most transparent manufacturers before injecting blindly. Then if course they'll find out there is no clean nor transparent manufacturer.
Only one vax at a time. think of it this way. The vaxes contain poisons like aluminum and mercury, so getting more than one will stress the baby more than just getting one. Of course, I would say don't give the child ANY vaccines, but if you must, then: 1. Only one vax at a time. All doctors CAN DO THIS.
2. Don't vaccinate before age 2. Babies have no immune system.
At age two there is a much better chance of some sort of incipient immune system to protect the child. I still wouldn't do it, though. Vaccination causes autism. If you don't believe me, do some research. Check out Dr Thompson of the CDC who said this in 2004.
Not a single one is safe. Not only did the ones we took as kids harm millions… they aren’t the same anymore. They are turning everything into mRNA kill shots and other “reformulations” as well.
You cannot trust a single one. They lie about all of them. None are proven either safe or effective.
i think i saw a ... that showed it was already dying out and the vaccine just showed up at the right time to coincide with already dropping rates of infection.
This is documented. Polio vax didn't do shit. It was increasing hygiene standards and better water sanitation. The vax just prolonged and caused more issues like paralysis etc. while taking credit for lowering infection rates. I see no reason to think that the polio playbook was any different than the covid BS.
It gave a ton of people soft tissue cancers
I would advise them to avoid them until the side effects are studied. You cannot UNTAKE a vaccine, so put them off to be safe.